Excerpt:
+++
Entry 1:
Material: SrSiSb3Pd6
Method: DFT, PBE
State: optimized geometry

Cell: 7.661 7.661 4.101 Å, 90.00 90.00 120.00°
Fractional positions:
Pd 0.192 0.384 0.000
Pd 0.192 0.808 0.000
Pd 0.616 0.808 0.000
Pd 0.246 0.123 0.500
Pd 0.877 0.123 0.500
Pd 0.877 0.754 0.500
Sb 0.476 0.524 0.500
Sb 0.047 0.524 0.500
Sb 0.476 0.953 0.500
Si 0.000 0.000 0.000
Sr 0.667 0.333 0.000

## Properties
For the electronic total energy, the calculation gives -5.19 eV/atom. The crystal system is hexagonal.


Entry 2:
Material: B4IrW
Method: DFT, PBE
State: optimized geometry

Cell: 3.008 3.008 6.890 Å, 90.00 90.00 120.00°
Fractional positions:
B 0.667 0.333 0.255
B 0.333 0.667 0.255
B 0.667 0.333 0.745
B 0.333 0.667 0.745
Ir 0.000 0.000 0.000
W 0.000 0.000 0.500

## Properties
For the electronic total energy, the calculation gives -7.93 eV/atom. The crystal system is hexagonal.


Entry 3:
Material: TmNbTc
Method: DFT, PBE
State: optimized geometry

Cell: 4.503 4.503 4.503 Å, 60.00 60.00 60.00°
Fractional positions:
Nb 0.250 0.250 0.250
Tc 0.750 0.750 0.750
Tm 0.000 0.000 0.000

## Properties
The calculated formation energy is 1.34 eV per atom. The crystal system is cubic.


Entry 4:
Material: ErZrZn
Method: DFT, PBE
State: optimized geometry

Cell: 4.715 4.715 4.715 Å, 60.00 60.00 60.00°
Fractional positions:
Er 0.250 0.250 0.250
Zn 0.000 0.000 0.000
Zr 0.750 0.750 0.750

## Properties
The calculated formation energy is 0.19 eV per atom. The crystal system is cubic.


Entry 5:
Material: DyHo2In3Pt2Au
Method: DFT, PBE
State: optimized geometry

Cell: 3.786 7.784 7.784 Å, 120.05 90.00 90.00°
Fractional positions:
Au 0.000 0.000 0.000
Dy 0.000 0.592 0.592
Ho 0.000 0.408 0.000
Ho 0.000 0.000 0.408
In 0.500 0.731 0.000
In 0.500 0.269 0.269
In 0.500 0.000 0.731
Pt 0.500 0.667 0.333
Pt 0.500 0.333 0.667

## Properties
For the electronic total energy, the calculation gives -5.06 eV/atom. The crystal system is orthorhombic.


Entry 6:
Material: ZrCoSb
Method: DFT, PBE
State: optimized geometry

Cell: 6.900 6.900 3.908 Å, 90.00 90.00 120.00°
Fractional positions:
Co 0.667 0.333 0.000
Co 0.333 0.667 0.000
Co 0.000 0.000 0.500
Sb 0.276 0.000 0.000
Sb 0.000 0.276 0.000
Sb 0.724 0.724 0.000
Zr 0.608 0.000 0.500
Zr 0.392 0.392 0.500
Zr 0.000 0.608 0.500

## Properties
For the electronic total energy, the calculation gives -7.09 eV/atom. The crystal system is hexagonal.


Entry 7:
Material: Y3Er2S7
Method: DFT, PBE
State: optimized geometry

Cell: 6.667 6.667 11.574 Å, 103.97 103.97 33.10°
Fractional positions:
Er 0.888 0.888 0.078
Er 0.112 0.112 0.922
S 0.500 0.500 0.000
S 0.260 0.260 0.145
S 0.040 0.040 0.283
S 0.340 0.340 0.449
S 0.660 0.660 0.551
S 0.960 0.960 0.717
S 0.740 0.740 0.855
Y 0.700 0.700 0.311
Y 0.000 0.000 0.500
Y 0.300 0.300 0.689

## Properties
For the electronic total energy, the calculation gives -6.86 eV/atom. The crystal system is monoclinic.


Entry 8:
Material: MgOs
Method: DFT, PBE
State: optimized geometry

Cell: 5.091 7.387 4.531 Å, 90.00 90.00 69.84°
Fractional positions:
Mg 0.962 0.026 0.000
Mg 0.188 0.574 0.000
Mg 0.868 0.604 0.500
Mg 0.303 0.800 0.500
Mg 0.672 0.996 0.500
Os 0.371 0.160 0.000
Os 0.731 0.440 0.000
Os 0.613 0.800 0.000
Os 0.094 0.236 0.500
Os 0.530 0.364 0.500

## Properties
For the electronic total energy, the calculation gives -6.16 eV/atom. The crystal system is orthorhombic.

* * * * *

Density functional theory data (GGA-PBE) for YScTlGa2 after structural relaxation.

```
YScTlGa2
1.0
-0.6105 -0.3687 5.1946
-3.8007 -3.7381 -0.7120
3.6592 -3.7518 0.1638
Sc Tl Ga Y
1 1 2 1
+++
Activity:
It remains to find the line further above that holds "0.246 0.123", then transcribe that line and all lines after it there.
Written answer:
Pd 0.246 0.123 0.500
Pd 0.877 0.123 0.500
Pd 0.877 0.754 0.500
Sb 0.476 0.524 0.500
Sb 0.047 0.524 0.500
Sb 0.476 0.953 0.500
Si 0.000 0.000 0.000
Sr 0.667 0.333 0.000

## Properties
For the electronic total energy, the calculation gives -5.19 eV/atom. The crystal system is hexagonal.


Entry 2:
Material: B4IrW
Method: DFT, PBE
State: optimized geometry

Cell: 3.008 3.008 6.890 Å, 90.00 90.00 120.00°
Fractional positions:
B 0.667 0.333 0.255
B 0.333 0.667 0.255
B 0.667 0.333 0.745
B 0.333 0.667 0.745
Ir 0.000 0.000 0.000
W 0.000 0.000 0.500

## Properties
For the electronic total energy, the calculation gives -7.93 eV/atom. The crystal system is hexagonal.


Entry 3:
Material: TmNbTc
Method: DFT, PBE
State: optimized geometry

Cell: 4.503 4.503 4.503 Å, 60.00 60.00 60.00°
Fractional positions:
Nb 0.250 0.250 0.250
Tc 0.750 0.750 0.750
Tm 0.000 0.000 0.000

## Properties
The calculated formation energy is 1.34 eV per atom. The crystal system is cubic.


Entry 4:
Material: ErZrZn
Method: DFT, PBE
State: optimized geometry

Cell: 4.715 4.715 4.715 Å, 60.00 60.00 60.00°
Fractional positions:
Er 0.250 0.250 0.250
Zn 0.000 0.000 0.000
Zr 0.750 0.750 0.750

## Properties
The calculated formation energy is 0.19 eV per atom. The crystal system is cubic.


Entry 5:
Material: DyHo2In3Pt2Au
Method: DFT, PBE
State: optimized geometry

Cell: 3.786 7.784 7.784 Å, 120.05 90.00 90.00°
Fractional positions:
Au 0.000 0.000 0.000
Dy 0.000 0.592 0.592
Ho 0.000 0.408 0.000
Ho 0.000 0.000 0.408
In 0.500 0.731 0.000
In 0.500 0.269 0.269
In 0.500 0.000 0.731
Pt 0.500 0.667 0.333
Pt 0.500 0.333 0.667

## Properties
For the electronic total energy, the calculation gives -5.06 eV/atom. The crystal system is orthorhombic.


Entry 6:
Material: ZrCoSb
Method: DFT, PBE
State: optimized geometry

Cell: 6.900 6.900 3.908 Å, 90.00 90.00 120.00°
Fractional positions:
Co 0.667 0.333 0.000
Co 0.333 0.667 0.000
Co 0.000 0.000 0.500
Sb 0.276 0.000 0.000
Sb 0.000 0.276 0.000
Sb 0.724 0.724 0.000
Zr 0.608 0.000 0.500
Zr 0.392 0.392 0.500
Zr 0.000 0.608 0.500

## Properties
For the electronic total energy, the calculation gives -7.09 eV/atom. The crystal system is hexagonal.


Entry 7:
Material: Y3Er2S7
Method: DFT, PBE
State: optimized geometry

Cell: 6.667 6.667 11.574 Å, 103.97 103.97 33.10°
Fractional positions:
Er 0.888 0.888 0.078
Er 0.112 0.112 0.922
S 0.500 0.500 0.000
S 0.260 0.260 0.145
S 0.040 0.040 0.283
S 0.340 0.340 0.449
S 0.660 0.660 0.551
S 0.960 0.960 0.717
S 0.740 0.740 0.855
Y 0.700 0.700 0.311
Y 0.000 0.000 0.500
Y 0.300 0.300 0.689

## Properties
For the electronic total energy, the calculation gives -6.86 eV/atom. The crystal system is monoclinic.


Entry 8:
Material: MgOs
Method: DFT, PBE
State: optimized geometry

Cell: 5.091 7.387 4.531 Å, 90.00 90.00 69.84°
Fractional positions:
Mg 0.962 0.026 0.000
Mg 0.188 0.574 0.000
Mg 0.868 0.604 0.500
Mg 0.303 0.800 0.500
Mg 0.672 0.996 0.500
Os 0.371 0.160 0.000
Os 0.731 0.440 0.000
Os 0.613 0.800 0.000
Os 0.094 0.236 0.500
Os 0.530 0.364 0.500

## Properties
For the electronic total energy, the calculation gives -6.16 eV/atom. The crystal system is orthorhombic.

* * * * *

Density functional theory data (GGA-PBE) for YScTlGa2 after structural relaxation.

```
YScTlGa2
1.0
-0.6105 -0.3687 5.1946
-3.8007 -3.7381 -0.7120
3.6592 -3.7518 0.1638
Sc Tl Ga Y
1 1 2 1